Hyperledger Fabric中的系统链码——VSCC, ESCC, LSCC, ESCC, QSCC


Hyperledger Fabric 中提供了以下系统链代码:

  • LSCC
  • ESCC
  • VSCC
  • CSCC
  • QSCC

1、LSCC: Lifecycle System Chaincode

This system chaincode is used for managing the lifecycle of chaincode. It is used for install, instantiate and update chaincode. When we install chaincode, the process goes through LSCC

Here the entry breaks off for materials data >
____________
A plane-wave DFT calculation with PBE was carried out for a geometry-optimized Y2Zr2O5 structure.

Computed properties:
Electronic total energy (eV/atom): -8.76
Volume (Å³ per cell): 131
Offset from the most stable computed form (eV/atom): 0.000

Lattice parameters (Å, degrees): 10.0215 3.6202 3.6202 90.00 90.00 90.00
Positions (direct):
O  0.1272  0.0000  0.5000
O  0.8728  0.5000  0.0000
O  0.5000  0.5000  0.5000
O  0.8728  0.0000  0.5000
O  0.1272  0.5000  0.0000
Zr  0.5000  0.0000  0.0000
Zr  0.0000  0.0000  0.0000
Y  0.7516  0.5000  0.5000
Y  0.2484  0.5000  0.5000

A plane-wave DFT calculation with PBE was carried out for a geometry-optimized Y2Zr30O63 structure.

Computed properties:
Electronic total energy (eV/atom): -9.43
Volume (Å³ per cell): 1090
Offset from the most stable computed form (eV/atom): 0.002

Lattice parameters (Å, degrees): 10.2535 10.2535 10.3674 90.03 90.03 89.79
Positions (direct):
O  0.1322  0.6312  0.6028
O  0.6319  0.8824  0.3994
O  0.8887  0.3714  0.1014
O  0.3849  0.3849  0.3614
O  0.6402  0.6402  0.1160
O  0.8809  0.8809  0.3588
O  0.8824  0.6319  0.3994
O  0.9036  0.1407  0.8960
O  0.3810  0.6363  0.6442
O  0.3853  0.1338  0.1441
O  0.8847  0.8847  0.6080
O  0.8802  0.6358  0.6497
O  0.6363  0.3810  0.6442
O  0.8723  0.1375  0.6475
O  0.3817  0.3817  0.1203
O  0.3780  0.8789  0.3529
O  0.1271  0.3885  0.3875
O  0.3779  0.3779  0.8617
O  0.1338  0.3853  0.1441
O  0.3935  0.8813  0.8547
O  0.3733  0.6367  0.8889
O  0.1375  0.8723  0.6475
O  0.3531  0.1239  0.8936
O  0.3885  0.1271  0.3875
O  0.8864  0.1311  0.4006
O  0.3886  0.1295  0.6454
O  0.6377  0.1352  0.3546
O  0.3886  0.3886  0.6171
O  0.6255  0.1261  0.8534
O  0.8827  0.6368  0.9006
O  0.8789  0.3780  0.3529
O  0.1295  0.3886  0.6454
O  0.6401  0.3795  0.1477
O  0.3839  0.8839  0.6035
O  0.6188  0.8918  0.1500
O  0.6318  0.6318  0.6061
O  0.6312  0.3833  0.3970
O  0.1319  0.1319  0.0896
O  0.6312  0.1322  0.6028
O  0.6368  0.8827  0.9006
O  0.8839  0.3839  0.6035
O  0.6367  0.3733  0.8889
O  0.8870  0.8870  0.8587
O  0.1352  0.6377  0.3546
O  0.6358  0.8802  0.6497
O  0.1239  0.3531  0.8936
O  0.1261  0.6255  0.8534
O  0.8839  0.1225  0.1506
O  0.6336  0.1340  0.1010
O  0.3795  0.6401  0.1477
O  0.6332  0.6332  0.3594
O  0.1316  0.1316  0.3546
O  0.1311  0.8864  0.4006
O  0.1225  0.8839  0.1506
O  0.1249  0.1249  0.6427
O  0.3833  0.6312  0.3970
O  0.3714  0.8887  0.1014
O  0.1340  0.6336  0.1010
O  0.8735  0.8735  0.1116
O  0.1407  0.9036  0.8960
O  0.6334  0.6334  0.8559
O  0.8918  0.6188  0.1500
O  0.8813  0.3935  0.8547
Zr  0.5092  0.2631  0.7493
Zr  0.0083  0.0083  0.5061
Zr  0.5079  0.7558  0.2534
Zr  0.0086  0.5031  0.0008
Zr  0.0041  0.7540  0.2532
Zr  0.2631  0.5092  0.7493
Zr  0.5064  0.5064  0.5015
Zr  0.7540  0.0041  0.2532
Zr  0.9948  0.2713  0.7412
Zr  0.2649  0.2649  0.0113
Zr  0.2565  0.7589  0.0000
Zr  0.7541  0.7541  0.0003
Zr  0.7554  0.0053  0.7515
Zr  0.5097  0.7539  0.7502
Zr  0.2549  0.7571  0.4981
Zr  0.7558  0.5079  0.2534
____________

2、ESCC: Endorsement System Chaincode

This system chaincode is used to endorse the transaction by digitally signing the response.
The client sends the transaction proposal to invoke chaincode function at the endorsement phase. client sign proposal with his credential and send to endorsement peers. First endorsing peer simulate transaction and verify if the client is authorized to invoke transaction on the channel. The endorsement peer executes the chaincode and creates a read/write(R/W) set. Transaction result includes response value, read set and write set. Then endorsement peer call ESCC and sign this transaction response with peer identity and send back to client.

3、VSCC: Validation System Chaincode

This is used to validate the transaction against its endorsement policy.
A Validation system chaincode evaluates endorsements in the transaction against the endorsement policy specified for the chaincode. If the endorsement policy is not satisfied, then that transaction is marked invalid.
When all peers get a block from the orderer, first they verify orderer's signature on the block. Every block is decoded and all the transaction goes through VSCC before performing MVCC validation. VSCC validates endorsements in the transaction against endorsement policy specified for chaincode. If the endorsement policy fails to satisfy, then the transaction is marked as invalid.
Note: MVCC - Multiversion Concurrency Control — It ensures that the version of keys read by transaction during the endorsement phase is the same as the current state in a local ledger at commit time. It is performed on all valid transactions in the block which is validated by VSCC. If the read set version does not match, the transaction is marked as invalid. MVCC is not chaincode, it's a mechanism to avoid the double-spending problem in Hyperledger fabric

4、CSCC: Configuration system Chaincode

This chaincode is used to manage channel configuration. When we create a channel, update channel, the process goes through the configuration system chaincode. Actually it validates the channel creation/updation.

5、QSCC: Query System Chaincode

This Chaincode runs in all peer and provide ledger API like getTransactionByTransactionID, getBlockByBlockNumber, GetBlockByTxID, GetChainInfo, GetBlockByTxID.

Hope this article will help you. It's basic information about the system chaincodes.

posted @ 2022-01-04 19:42  JasonCeng  阅读(1109)  评论(0编辑  收藏  举报